Given.
'''
1.
# BaNa2Cd2Au GGA-PBE optimized geometry
# formation enthalpy at 0 K	-0.042	eV/atom
data_BaNa2Cd2Au
_chemical_formula_sum 'Ba2 Na4 Cd4 Au2'
_space_group_name_H-M_alt 'I 4/m m m'
_space_group_IT_number 139
_space_group_name_Hall '-I 4 2'
_cell_length_a 5.7891
_cell_length_b 5.7891
_cell_length_c 12.7258
_cell_angle_alpha 90.00
_cell_angle_beta 90.00
_cell_angle_gamma 90.00
loop_
_atom_site_label
_atom_site_type_symbol
_atom_site_fract_x
_atom_site_fract_y
_atom_site_fract_z
Ba1 Ba 0.0000 0.0000 0.0000
Na1 Na 0.0000 0.5000 0.2500
Cd1 Cd 0.0000 0.0000 0.2890
Au1 Au 0.0000 0.0000 0.5000

***

2.
# Tb3ErTl5 GGA-PBE optimized geometry
# formation enthalpy at 0 K	-0.305	eV/atom
data_Tb3ErTl5
_chemical_formula_sum 'Tb6 Er2 Tl10'
_space_group_name_H-M_alt 'P 63/m c m'
_space_group_IT_number 193
_space_group_name_Hall '-P 6c 2'
_cell_length_a 9.3540
_cell_length_b 9.3540
_cell_length_c 6.5841
_cell_angle_alpha 90.00
_cell_angle_beta 90.00
_cell_angle_gamma 120.00
loop_
_atom_site_label
_atom_site_type_symbol
_atom_site_fract_x
_atom_site_fract_y
_atom_site_fract_z
Tb1 Tb 0.0000 0.3695 0.2500
Er1 Er 0.0000 0.0000 0.0000
Tl1 Tl 0.0000 0.2968 0.7500
Tl2 Tl 0.3333 0.6667 0.0000

***

3.
# TeOsCl GGA-PBE optimized geometry
# final energy	-4.9234	eV/atom
data_TeOsCl
_chemical_formula_sum 'Te4 Os4 Cl4'
_space_group_name_H-M_alt 'F -4 3 m'
_space_group_IT_number 216
_space_group_name_Hall 'F -4 2 3'
_cell_length_a 6.3286
_cell_length_b 6.3286
_cell_length_c 6.3286
_cell_angle_alpha 90.00
_cell_angle_beta 90.00
_cell_angle_gamma 90.00
loop_
_atom_site_label
_atom_site_type_symbol
_atom_site_fract_x
_atom_site_fract_y
_atom_site_fract_z
Te1 Te 0.0000 0.0000 0.0000
Os1 Os 0.2500 0.2500 0.2500
Cl1 Cl 0.0000 0.0000 0.5000

***

4.
# LaPm4Cu GGA-PBE optimized geometry
# formation enthalpy at 0 K	-0.030	eV/atom
data_LaPm4Cu
_chemical_formula_sum 'La1 Pm4 Cu1'
_space_group_name_H-M_alt 'P 4/m m m'
_space_group_IT_number 123
_space_group_name_Hall '-P 4 2'
_cell_length_a 3.6458
_cell_length_b 3.6458
_cell_length_c 13.9840
_cell_angle_alpha 90.00
_cell_angle_beta 90.00
_cell_angle_gamma 90.00
loop_
_atom_site_label
_atom_site_type_symbol
_atom_site_fract_x
_atom_site_fract_y
_atom_site_fract_z
La1 La 0.0000 0.0000 0.0000
Pm1 Pm 0.0000 0.0000 0.3777
Pm2 Pm 0.5000 0.5000 0.1881
Cu1 Cu 0.5000 0.5000 0.5000

***

5.
# Ag2HPt GGA-PBE optimized geometry
# energy relative to the lowest polymorph listed for this composition	0	meV per atom
data_Ag2HPt
_chemical_formula_sum 'Ag4 H2 Pt2'
_space_group_name_H-M_alt 'C 1 m 1'
_space_group_IT_number 8
_cell_length_a 4.2649
_cell_length_b 3.8332
_cell_length_c 6.9847
_cell_angle_alpha 90.00
_cell_angle_beta 107.39
_cell_angle_gamma 90.00
loop_
_space_group_symop_operation_xyz
'x,y,z'
'x,-y,z'
'x+1/2,y+1/2,z'
'x+1/2,-y+1/2,z'
loop_
_atom_site_label
_atom_site_type_symbol
_atom_site_fract_x
_atom_site_fract_y
_atom_site_fract_z
Ag1 Ag 0.0000 0.0000 0.0000
Ag2 Ag 0.1610 0.5000 0.3209
H1 H 0.4444 0.5000 0.6601
Pt1 Pt 0.3621 0.0000 0.6607

***

6.
# BaSrCl GGA-PBE optimized geometry
# energy relative to the lowest polymorph listed for this composition	894	meV per atom
data_BaSrCl
_chemical_formula_sum 'Ba4 Sr4 Cl4'
_space_group_name_H-M_alt 'F -4 3 m'
_space_group_IT_number 216
_space_group_name_Hall 'F -4 2 3'
_cell_length_a 8.6315
_cell_length_b 8.6315
_cell_length_c 8.6315
_cell_angle_alpha 90.00
_cell_angle_beta 90.00
_cell_angle_gamma 90.00
loop_
_atom_site_label
_atom_site_type_symbol
_atom_site_fract_x
_atom_site_fract_y
_atom_site_fract_z
Ba1 Ba 0.0000 0.0000 0.0000
Sr1 Sr 0.2500 0.2500 0.2500
Cl1 Cl 0.2500 0.2500 0.7500

***

7.
# LaNdSb GGA-PBE optimized geometry
# final energy	-5.3264	eV/atom
data_LaNdSb
_chemical_formula_sum 'La2 Nd2 Sb2'
_space_group_name_H-M_alt 'I 4 m m'
_space_group_IT_number 107
_space_group_name_Hall 'I 4 -2'
_cell_length_a 4.2405
_cell_length_b 4.2405
_cell_length_c 10.2341
_cell_angle_alpha 90.00
_cell_angle_beta 90.00
_cell_angle_gamma 90.00
loop_
_atom_site_label
'''
Activity.
Please find the line above that holds "_cell_length_c 6.5841", then echo that line and all lines after it there.
Worked solution.
_cell_length_c 6.5841
_cell_angle_alpha 90.00
_cell_angle_beta 90.00
_cell_angle_gamma 120.00
loop_
_atom_site_label
_atom_site_type_symbol
_atom_site_fract_x
_atom_site_fract_y
_atom_site_fract_z
Tb1 Tb 0.0000 0.3695 0.2500
Er1 Er 0.0000 0.0000 0.0000
Tl1 Tl 0.0000 0.2968 0.7500
Tl2 Tl 0.3333 0.6667 0.0000

***

3.
# TeOsCl GGA-PBE optimized geometry
# final energy	-4.9234	eV/atom
data_TeOsCl
_chemical_formula_sum 'Te4 Os4 Cl4'
_space_group_name_H-M_alt 'F -4 3 m'
_space_group_IT_number 216
_space_group_name_Hall 'F -4 2 3'
_cell_length_a 6.3286
_cell_length_b 6.3286
_cell_length_c 6.3286
_cell_angle_alpha 90.00
_cell_angle_beta 90.00
_cell_angle_gamma 90.00
loop_
_atom_site_label
_atom_site_type_symbol
_atom_site_fract_x
_atom_site_fract_y
_atom_site_fract_z
Te1 Te 0.0000 0.0000 0.0000
Os1 Os 0.2500 0.2500 0.2500
Cl1 Cl 0.0000 0.0000 0.5000

***

4.
# LaPm4Cu GGA-PBE optimized geometry
# formation enthalpy at 0 K	-0.030	eV/atom
data_LaPm4Cu
_chemical_formula_sum 'La1 Pm4 Cu1'
_space_group_name_H-M_alt 'P 4/m m m'
_space_group_IT_number 123
_space_group_name_Hall '-P 4 2'
_cell_length_a 3.6458
_cell_length_b 3.6458
_cell_length_c 13.9840
_cell_angle_alpha 90.00
_cell_angle_beta 90.00
_cell_angle_gamma 90.00
loop_
_atom_site_label
_atom_site_type_symbol
_atom_site_fract_x
_atom_site_fract_y
_atom_site_fract_z
La1 La 0.0000 0.0000 0.0000
Pm1 Pm 0.0000 0.0000 0.3777
Pm2 Pm 0.5000 0.5000 0.1881
Cu1 Cu 0.5000 0.5000 0.5000

***

5.
# Ag2HPt GGA-PBE optimized geometry
# energy relative to the lowest polymorph listed for this composition	0	meV per atom
data_Ag2HPt
_chemical_formula_sum 'Ag4 H2 Pt2'
_space_group_name_H-M_alt 'C 1 m 1'
_space_group_IT_number 8
_cell_length_a 4.2649
_cell_length_b 3.8332
_cell_length_c 6.9847
_cell_angle_alpha 90.00
_cell_angle_beta 107.39
_cell_angle_gamma 90.00
loop_
_space_group_symop_operation_xyz
'x,y,z'
'x,-y,z'
'x+1/2,y+1/2,z'
'x+1/2,-y+1/2,z'
loop_
_atom_site_label
_atom_site_type_symbol
_atom_site_fract_x
_atom_site_fract_y
_atom_site_fract_z
Ag1 Ag 0.0000 0.0000 0.0000
Ag2 Ag 0.1610 0.5000 0.3209
H1 H 0.4444 0.5000 0.6601
Pt1 Pt 0.3621 0.0000 0.6607

***

6.
# BaSrCl GGA-PBE optimized geometry
# energy relative to the lowest polymorph listed for this composition	894	meV per atom
data_BaSrCl
_chemical_formula_sum 'Ba4 Sr4 Cl4'
_space_group_name_H-M_alt 'F -4 3 m'
_space_group_IT_number 216
_space_group_name_Hall 'F -4 2 3'
_cell_length_a 8.6315
_cell_length_b 8.6315
_cell_length_c 8.6315
_cell_angle_alpha 90.00
_cell_angle_beta 90.00
_cell_angle_gamma 90.00
loop_
_atom_site_label
_atom_site_type_symbol
_atom_site_fract_x
_atom_site_fract_y
_atom_site_fract_z
Ba1 Ba 0.0000 0.0000 0.0000
Sr1 Sr 0.2500 0.2500 0.2500
Cl1 Cl 0.2500 0.2500 0.7500

***

7.
# LaNdSb GGA-PBE optimized geometry
# final energy	-5.3264	eV/atom
data_LaNdSb
_chemical_formula_sum 'La2 Nd2 Sb2'
_space_group_name_H-M_alt 'I 4 m m'
_space_group_IT_number 107
_space_group_name_Hall 'I 4 -2'
_cell_length_a 4.2405
_cell_length_b 4.2405
_cell_length_c 10.2341
_cell_angle_alpha 90.00
_cell_angle_beta 90.00
_cell_angle_gamma 90.00
loop_
_atom_site_label